Friday, April 29, 2011

********
This entry pairs a crystal structure of MnRu2F11 with its simulated XRD peak list. Radiation: CuKα. Structure: the GGA+U geometry in Alexandria.

Top 12 peaks for 5° ≤ 2θ ≤ 70°, by angle:
- 17.49°, I 76
- 22.63°, I 87
- 24.14°, I 100
- 24.42°, I 84
- 26.67°, I 34
- 27.01°, I 40
- 43.69°, I 23
- 46.20°, I 35
- 47.40°, I 55
- 48.40°, I 16
- 48.80°, I 21
- 50.98°, I 18

Cell and atoms:
```
MnRu2F11
1.0
-4.3492 4.4430 5.0718
4.3492 -4.4430 5.0718
4.3492 4.4430 -5.0718
Mn Ru F
2 4 22
Cartesian
0.0000 0.0000 2.5359 Mn
0.0000 0.0000 7.6076 Mn
5.8044 1.4354 0.0000 Ru
1.4551 3.0076 0.0000 Ru
2.8941 1.4354 5.0718 Ru
-1.4551 3.0076 5.0718 Ru
4.3492 0.0000 0.0000 F
1.8504 -0.5044 1.3452 F
4.8920 -2.4357 3.7090 F
4.8920 2.4357 -1.3628 F
6.8481 0.5044 1.3452 F
2.7371 1.6926 0.0000 F
2.7371 -1.6926 5.0718 F
2.4989 3.9386 -1.3452 F
0.5427 2.0073 1.3628 F
4.8920 2.4357 1.3628 F
1.8504 0.5044 3.7266 F
0.0000 4.4430 0.0000 F
2.4989 3.9386 1.3452 F
-0.5427 2.0073 3.7090 F
3.8065 2.4357 3.7090 F
1.8504 0.5044 6.4170 F
1.6121 6.1355 0.0000 F
1.6121 2.7504 5.0718 F
-2.4989 3.9386 3.7266 F
-0.5427 2.0073 6.4345 F
-0.5427 6.8787 1.3628 F
2.4989 4.9474 3.7266 F
```

~~~~~

La2CuSi2Au: theoretical X-ray diffraction stick pattern (Cu Kα (λ = 1.5418 Å)), based on a DFT-relaxed cell (GGA-PBE, OQMD).
Kinematic intensities with the Lorentz-polarization factor, no thermal factor.

Most intense lines, 15 to 90 degrees two-theta, low angle first:
2θ (°)	I_rel	h k l
23.7	13	1 0 0
26.1	32	1 0 1
32.1	100	1 0 2
41.7	43	1 1 0
43.5	13	0 0 4
53.6	23	2 0 2
61.9	26	1 1 4
70.1	21	2 1 2

```
data_La2CuSi2Au
_cell_length_a 4.3307
_cell_length_b 4.3307
_cell_length_c 8.3168
_cell_angle_alpha 90.00
_cell_angle_beta 90.00
_cell_angle_gamma 120.00
_space_group_name_H-M_alt 'P -6 m 2'
_space_group_IT_number 187
_space_group_name_Hall 'P -6 2'
loop_
_atom_site_label
_atom_site_type_symbol
_atom_site_fract_x
_atom_site_fract_y
_atom_site_fract_z
La1 La 0.0000 0.0000 0.2438
Cu1 Cu 0.6667 0.3333 0.0000
Si1 Si 0.3333 0.6667 0.0000
Si2 Si 0.6667 0.3333 0.5000
Au1 Au 0.3333 0.6667 0.5000
```

NaZr3Te5: theoretical X-ray diffraction stick pattern (Cu Kα (λ = 1.5418 Å)), based on a DFT-relaxed cell (GGA-PBE, OQMD).
Kinematic intensities with the Lorentz-polarization factor, no thermal factor.

Most intense lines, 15 to 90 degrees two-theta, low angle first:
2θ (°)	I_rel	h k l
16.1	39	1 0 0
26.6	55	1 0 2
28.1	83	1 1 0
34.3	54	2 0 1
35.4	54	1 1 2
39.1	100	2 0 2
58.2	29	2 2 0
67.8	24	2 2 3

```
data_NaZr3Te5
_cell_length_a 6.3444
_cell_length_b 6.3444
_cell_length_c 8.4478
_cell_angle_alpha 90.00
_cell_angle_beta 90.00
_cell_angle_gamma 120.00
_space_group_name_H-M_alt 'P 6/m m m'
_space_group_IT_number 191
_space_group_name_Hall '-P 6 2'
loop_
_atom_site_label
_atom_site_type_symbol
_atom_site_fract_x
_atom_site_fract_y
_atom_site_fract_z
Na1 Na 0.0000 0.0000 0.0000
Zr1 Zr 0.0000 0.5000 0.5000
Te1 Te 0.0000 0.0000 0.5000
Te2 Te 0.3333 0.6667 0.2304
```
********
### Back to the page

Day 109: What a Reject

*Note, this is TECHNICALLY being written on Friday, however it is very much Thursday's blog. I will (possibly) write again today for today's blog.... just go with it....

## Here the entry breaks off for records of crystals
This entry pairs a crystal structure of TlHgBiAu2 with its theoretical powder diffraction line list. Radiation: Cu Kα, 1.54184 Å. Structure: DFT lattice parameters and positions (GGA-PBE).
Neutral-atom scattering factors, no anomalous dispersion.

```
data_TlHgBiAu2
_chemical_formula_sum 'Tl2 Hg2 Bi2 Au4'
_space_group_name_H-M_alt 'P 1'
_space_group_IT_number 1
_space_group_name_Hall 'P 1'
_cell_length_a 7.6361
_cell_length_b 7.6361
_cell_length_c 8.9521
_cell_angle_alpha 121.20
_cell_angle_beta 121.20
_cell_angle_gamma 38.17
loop_
_atom_site_label
_atom_site_fract_x
_atom_site_fract_y
_atom_site_fract_z
Tl1 0.2281 0.2281 0.1145
Tl2 0.7719 0.7719 0.8855
Hg1 0.4537 0.4537 0.1377
Hg2 0.5463 0.5463 0.8623
Bi1 0.1194 0.1194 0.3781
Bi2 0.8806 0.8806 0.6219
Au1 0.1010 0.1010 0.6956
Au2 0.3154 0.3154 0.7407
Au3 0.6846 0.6846 0.2593
Au4 0.8990 0.8990 0.3044
```

Top 10 peaks for 10 to 90 degrees two-theta, sorted by position:
- 2θ 20.38, d 4.357, intensity 42
- 2θ 23.77, d 3.744, intensity 23
- 2θ 24.69, d 3.605, intensity 20
- 2θ 35.97, d 2.497, intensity 66
- 2θ 36.12, d 2.487, intensity 82
- 2θ 36.94, d 2.434, intensity 37
- 2θ 37.19, d 2.417, intensity 100
- 2θ 37.75, d 2.383, intensity 44
- 2θ 53.14, d 1.724, intensity 34
- 2θ 64.77, d 1.439, intensity 25

---

This entry pairs a crystal structure of Y3As2Rh6 with its theoretical powder diffraction line list. Radiation: Cu Kα, 1.54184 Å. Structure: DFT lattice parameters and positions (GGA-PBE).
Neutral-atom scattering factors, no anomalous dispersion.

```
data_Y3As2Rh6
_chemical_formula_sum 'Y6 As4 Rh12'
_space_group_name_H-M_alt 'P 1'
_space_group_IT_number 1
_space_group_name_Hall 'P 1'
_cell_length_a 8.0320
_cell_length_b 8.0320
_cell_length_c 8.0320
_cell_angle_alpha 109.47
_cell_angle_beta 109.47
_cell_angle_gamma 109.47
loop_
_atom_site_label
_atom_site_fract_x
_atom_site_fract_y
_atom_site_fract_z
Y1 0.0000 0.2811 0.2811
Y2 0.0000 0.7189 0.7189
Y3 0.2811 0.0000 0.2811
Y4 0.2811 0.2811 0.0000
Y5 0.7189 0.0000 0.7189
Y6 0.7189 0.7189 0.0000
As1 0.0000 0.0000 0.5000
As2 0.0000 0.5000 0.0000
As3 0.5000 0.0000 0.0000
As4 0.5000 0.5000 0.5000
Rh1 0.0000 0.3458 0.6542
Rh2 0.0000 0.6542 0.3458
Rh3 0.3083 0.6542 0.6542
Rh4 0.3458 0.0000 0.6542
Rh5 0.3458 0.3458 0.6917
Rh6 0.3458 0.6542 0.0000
Rh7 0.3458 0.6917 0.3458
Rh8 0.6542 0.0000 0.3458
Rh9 0.6542 0.3083 0.6542
Rh10 0.6542 0.3458 0.0000
Rh11 0.6542 0.6542 0.3083
Rh12 0.6917 0.3458 0.3458
```

Top 10 peaks for 10 to 90 degrees two-theta, sorted by position:
- 2θ 13.50, d 6.558, intensity 28
- 2θ 33.47, d 2.677, intensity 16
- 2θ 36.24, d 2.479, intensity 29
- 2θ 41.30, d 2.186, intensity 100
- 2θ 43.65, d 2.074, intensity 15
- 2θ 61.65, d 1.505, intensity 9
- 2θ 66.92, d 1.398, intensity 13
- 2θ 70.32, d 1.339, intensity 8
- 2θ 75.30, d 1.262, intensity 22
- 2θ 84.95, d 1.142, intensity 13

---

I'm a reject. It's official. It's not really a NEW realization, but one that hurts just as much as if it was (were?). Today I felt like I was 6 years old again, and my next door neighbor who I THOUGHT was my friend stepped out into the middle of our cul-de-sac while I was riding my bike, and LOUDLY chanted "I'm having a birthday party and you're not inviteeeeeeeeeeed!" It was painful as a 6 year old, and I have to admit, it was just about as painful last night when I realized that I am still not one of the cool kids. Now, it doesn't really matter what the event was, but the fact that I knew about it, was told I would be invited, and I would get more information later, and then never heard a single word about it again until I saw the posts about it reminding me that I was CLEARLY never really invited.... yeah.... that felt good. As I said, I have never been part of the cool kids club. I was never invited to parties in high school, or even college for that matter. I'm always the DD, even now,  because it's always just assumed that I wouldn't be drinking anyway (aka: party pooper). The list goes on, but I don't want to throw myself a pity party (I probably wouldn't be invited to that one anyway.... kidding....). I have normally been ok with not being part of the "in" crowd, because I have always had a small group of really close friends around me. There I was always part of the club, and always (usually) felt wanted. I realized last night that even this group is dwindling. I guess that's my fault too since I "chose to move" (aka: became the evil spawn of satan for wanting a change in my life) I am very grateful for the friends that I have in my life, but I wish that I was closer with some of them... especially the ones who are far. I even decided this morning that I was done blogging. I was done sharing my thoughts and feelings with people who don't really care. I have realized that most of my friends aren't even reading this! Then I decided, who cares!? Let strangers read it! Let people who used to be my friends, that I am pretty damn sure are reading this, read it! Let my family and future family read it! Let my co-workers read it! I have always been an open book, so why should I stop now? My struggle with weight loss has ALWAYS been public, so why not share it with the world?
And what does all this have to do with operation wedding dress? Not a damn thing. Unless you count the rest of the bag of Doritos I finished last night as I moped around the house. Or the full McDonald's breakfast that I scarfed down this morning because I was still in a crappy mood over this stupidity. Yeah, I guess you can count that.....
109 days down...72 to go!
PS- I love you John. Thank you for being my best friend.

1 comment:

  1. Um... I always thought that you were cool when we were in high school...
